Soil formation
As soils form, mature and age, they pass through a number of different stages, each of which is associated with specific species composition and structure in soil communities and plants. Soil biodiversity actively contributes to the transition from one stage to another, thus contributing to the formation of soils as one of the main factors that supports habitats for itself and other living creatures.
Materials data that have nothing to do with the page:
~~~
1.
This record from Alexandria describes a PBEsol-optimized structure of LiMgSb2. The functional is SCAN.

V = 89.7 Å³/f.u.
final energy = -20.776 eV/atom
N(E_F) = 0.37 states/eV/atom
ρ = 5.09 g/cm3
total magnetic moment = 0.0 Bohr magnetons per cell

```
data_LiMgSb2
_chemical_formula_sum 'Li1 Mg1 Sb2'
_symmetry_space_group_name_H-M 'P 4/m m m'
_symmetry_Int_Tables_number 123
_symmetry_space_group_name_Hall '-P 4 2'
_cell_length_a 4.6546
_cell_length_b 4.6546
_cell_length_c 4.1383
_cell_angle_alpha 90.00
_cell_angle_beta 90.00
_cell_angle_gamma 90.00
loop_
_atom_site_label
_atom_site_fract_x
_atom_site_fract_y
_atom_site_fract_z
_atom_site_occupancy
Li1 0.0000 0.0000 0.0000 1
Mg1 0.5000 0.5000 0.0000 1
Sb1 0.0000 0.5000 0.5000 1
```

2.
This record from Alexandria describes a PBEsol-optimized structure of Li3MgSb. The functional is SCAN.

V = 138.6 Å³/f.u.
final energy = -10.018 eV/atom
N(E_F) = 0.12 states/eV/atom
ρ = 2.00 g/cm3
total magnetic moment = 0.0 Bohr magnetons per cell

```
data_Li3MgSb
_chemical_formula_sum 'Li3 Mg1 Sb1'
_symmetry_space_group_name_H-M 'P m -3 m'
_symmetry_Int_Tables_number 221
_symmetry_space_group_name_Hall '-P 4 2 3'
_cell_length_a 5.1746
_cell_length_b 5.1746
_cell_length_c 5.1746
_cell_angle_alpha 90.00
_cell_angle_beta 90.00
_cell_angle_gamma 90.00
loop_
_atom_site_label
_atom_site_fract_x
_atom_site_fract_y
_atom_site_fract_z
_atom_site_occupancy
Li1 0.0000 0.0000 0.5000 1
Mg1 0.5000 0.5000 0.5000 1
Sb1 0.0000 0.0000 0.0000 1
```
~~~
Stage 1
In Stage 1, bedrock is exposed and weathering begins. Living communities are essentially comprised of microorganisms that form bacterial and algal crusts and other structures, with a progressive development of a food web mainly comprised of invertebrate microfauna: protists, nematodes, rotifers, plus a few mesofaunal components: collembolans and mites. Stage 1 is observed, for example, in the years following volcanic deposition or the recent exposure of rocks after glacial retreat due to melting. Depending on climatic conditions, this stage may only last from a few years to decades or persist for undefined periods of time.
• These calculated crystals were left in the piece by mistake:
~~~
Co2As3O6, relaxed, DFT PBE with a Hubbard U; space group = No. 15
1.0
4.368 -4.197 0.000
4.368 4.197 0.000
-2.753 0.000 9.152
Co As O
4 6 12
direct
0.105 0.246 0.018
0.246 0.105 0.518
0.754 0.895 0.482
0.895 0.754 0.982
0.150 0.600 0.304
0.336 0.664 0.750
0.400 0.850 0.196
0.600 0.150 0.804
0.664 0.336 0.250
0.850 0.400 0.696
0.038 0.853 0.393
0.053 0.476 0.866
0.147 0.962 0.107
0.346 0.423 0.617
0.423 0.346 0.117
0.476 0.053 0.366
0.524 0.947 0.634
0.577 0.654 0.883
0.654 0.577 0.383
0.853 0.038 0.893
0.947 0.524 0.134
0.962 0.147 0.607

***

Co3AsO, relaxed, DFT PBE with a Hubbard U; space group = No. 221
1.0
4.604 0.000 0.000
0.000 4.604 0.000
0.000 0.000 4.604
Co As O
3 1 1
direct
0.000 0.000 0.500
0.000 0.500 0.000
0.500 0.000 0.000
0.000 0.000 0.000
0.500 0.500 0.500

***

CoAsPO2, relaxed, DFT PBE with a Hubbard U; space group = No. 123
1.0
3.692 0.000 0.000
0.000 3.692 0.000
0.000 0.000 4.681
Co As P O
1 1 1 2
direct
0.000 0.000 0.000
0.500 0.500 0.500
0.000 0.000 0.500
0.000 0.500 0.000
0.500 0.000 0.000

***

CoAsPO2, relaxed, DFT PBE with a Hubbard U; space group = No. 123
1.0
3.641 0.000 0.000
0.000 3.641 0.000
0.000 0.000 5.138
Co As P O
1 1 1 2
direct
0.000 0.000 0.000
0.500 0.500 0.500
0.500 0.500 0.000
0.000 0.500 0.500
0.500 0.000 0.500

***

PaCoAsO6, relaxed, DFT PBE with a Hubbard U; space group = No. 163
1.0
5.357 0.000 0.000
-2.678 4.639 0.000
0.000 0.000 8.765
Pa Co As O
2 2 2 12
direct
0.333 0.667 0.250
0.667 0.333 0.750
0.000 0.000 0.000
0.000 0.000 0.500
0.333 0.667 0.750
0.667 0.333 0.250
0.045 0.370 0.631
0.045 0.675 0.869
0.325 0.370 0.869
0.325 0.955 0.631
0.370 0.045 0.131
0.370 0.325 0.369
0.630 0.675 0.631
0.630 0.955 0.869
0.675 0.045 0.369
0.675 0.630 0.131
0.955 0.325 0.131
0.955 0.630 0.369

***

Co2AsPbO8, relaxed, DFT PBE with a Hubbard U; space group = No. 147
1.0
5.171 0.000 0.000
-2.586 4.478 0.000
0.000 0.000 6.921
Co As Pb O
2 1 1 8
direct
0.333 0.667 0.220
0.667 0.333 0.780
0.000 0.000 0.000
0.000 0.000 0.500
0.029 0.300 0.162
0.270 0.971 0.162
0.300 0.270 0.838
0.333 0.667 0.466
0.667 0.333 0.534
0.700 0.730 0.162
0.730 0.029 0.838
0.971 0.700 0.838

***

The records above yield calculated volume values of 15.25 19.51 12.76 13.62 12.10 13.36 Å³ per atom, respectively.
The records above yield uncorrected energy values of -127.965 -18.972 -24.752 -25.296 -132.617 -66.306 eV per cell, respectively.


a:
Mg2TaBr: PBEsol geometry, SCAN.

Results
M_tot = 0.00 μB per atom

Cell lengths 4.837, 4.837, 4.837 Å; angles 60.00, 60.00, 60.00 degrees
Fractional positions:
Mg 0.000 0.000 0.000
Mg 0.250 0.250 0.250
Ta 0.750 0.750 0.750
Br 0.500 0.500 0.500

b:
Mg2TaBr: PBEsol geometry, SCAN.

Results
M_tot = 0.53 μB per atom

Cell lengths 4.990, 4.990, 4.990 Å; angles 60.00, 60.00, 60.00 degrees
Fractional positions:
Mg 0.250 0.250 0.250
Mg 0.750 0.750 0.750
Ta 0.000 0.000 0.000
Br 0.500 0.500 0.500

Quick ranking, most stable first: a, b.

a:
MgTcBr2: PBEsol geometry, SCAN.

Results
M_tot = 0.00 μB per atom
~~~
• So much for the calculated crystals:
Plants then appear, at first in the form of mosses and ferns, plus a number of pioneer plants. Accumulation of organic matter from their dead materials allows for the development of a first horizon, which is a mixture of fine-textured mineral elements and organic matter. While organic matter produced in these ecosystems is often of a rather low quality, it tends to accumulate on the soil surface, forming increasingly thick accumulations in which a wide diversity of arthropoda, such as hexapods, myriapods and other invertebrates of the litter transformer group build remarkably large and diverse communities.
Stage 2
In Stage 2, deeper soils allow for the development of bushes and trees. The weathering of the bedrock is accelerated by the direct effects of roots, or indirectly by the effects of different substances issuing from the decomposing leaf litter. Lixiviation of organic acids from decomposing litter triggers the migration of clay minerals to the bottom of the profile where they form a B horizon, causing an eluviated E horizon to appear.
Vegetation is often dominated by coniferous trees and litter accumulates that form a very active litter system in which fungi, collembolans, mites and enchytraeids are abundant. These soil organisms are litter transformers and play a vital role in the decomposition and humification of all types of plant and animal remains. Soil in the A horizon is often acidic, which may limit the activity of ecosystem engineers, especially earthworms.
Stage 3
Stage 3 marks the full maturity of the soil system as vegetation reaches full development and soil communities reach their maximum levels of activity and diversity. Plant communities have become fully established, and deciduous trees produce increasingly high-quality organic materials that stimulate biological activity in the soil.
## Crystal structures, kept here for reference
'''
VASP calculation (PBE-GGA) on a geometry-optimized K2BaBr structure.

Computed properties:
Total magnetization: 1.72 μB/cell
Energy relative to the elements, uncorrected: -0.4295 eV per atom
Offset from the most stable computed form: 336 meV/atom
E_tot: -1.877 eV per atom

Cell: 5.626 5.626 13.495 Å, 90.00 90.00 90.00°
Space group I-4m2 (No. 119)
Unique sites:
1 K 0.000 0.000 0.000
2 K 0.000 0.500 0.250
3 Ba 0.000 0.500 0.750
4 Br 0.000 0.000 0.500

=====

VASP calculation (PBE-GGA) on a geometry-optimized KBaBr2 structure.

Computed properties:
Total magnetization: 3.47 μB/cell
Energy relative to the elements, uncorrected: -1.4215 eV per atom
Offset from the most stable computed form: 203 meV/atom
E_tot: -3.013 eV per atom

Cell: 8.248 8.248 8.248 Å, 90.00 90.00 90.00°
Space group Fm-3m (No. 225)
Unique sites:
1 K 0.000 0.000 0.000
2 Ba 0.000 0.000 0.500
3 Br 0.250 0.250 0.250

=====

VASP calculation (PBE-GGA) on a geometry-optimized KBa2Br structure.

Computed properties:
Total magnetization: 7.83 μB/cell
Energy relative to the elements, uncorrected: -0.3186 eV per atom
Offset from the most stable computed form: 411 meV/atom
E_tot: -1.973 eV per atom

Cell: 9.401 9.401 9.401 Å, 90.00 90.00 90.00°
Space group Fm-3m (No. 225)
Unique sites:
1 K 0.000 0.000 0.000
2 Ba 0.250 0.250 0.250
3 Br 0.000 0.000 0.500

=====

VASP calculation (PBE-GGA) on a geometry-optimized KBaBr2 structure.

Computed properties:
Total magnetization: 0.47 μB/cell
Energy relative to the elements, uncorrected: -1.5546 eV per atom
Offset from the most stable computed form: 69 meV/atom
E_tot: -3.146 eV per atom

Cell: 4.381 4.209 8.898 Å, 90.00 90.33 90.00°
Space group P2/m (No. 10)
Unique sites:
1 K 0.000 0.000 0.000
2 Ba 0.500 0.000 0.500
3 Br 0.496 0.500 0.212

=====

VASP calculation (PBE-GGA) on a geometry-optimized KBa2Br structure.

Computed properties:
Total magnetization: 0.26 μB/cell
Energy relative to the elements, uncorrected: -0.6994 eV per atom
Offset from the most stable computed form: 31 meV/atom
E_tot: -2.353 eV per atom

Cell: 4.177 4.177 11.780 Å, 90.00 90.00 90.00°
Space group P4mm (No. 99)
Unique sites:
1 K 0.000 0.000 0.000
2 Ba 0.000 0.000 0.626
3 Ba 0.500 0.500 0.323
4 Br 0.500 0.500 0.805

=====

VASP calculation (PBE-GGA) on a geometry-optimized K4BaBr5 structure.

Computed properties:
Total magnetization: 1.09 μB/cell
Energy relative to the elements, uncorrected: -1.6714 eV per atom
E_tot: -3.139 eV per atom

Cell: 4.573 6.758 24.875 Å, 90.00 90.00 90.00°
Space group Immm (No. 71)
Unique sites:
1 K 0.000 0.000 0.102
2 K 0.000 0.000 0.296
3 Ba 0.000 0.000 0.500
4 Br 0.000 0.500 0.104
5 Br 0.000 0.500 0.301
6 Br 0.000 0.500 0.500

=====

VASP calculation (PBE-GGA) on a geometry-optimized K5Ba3Br12 structure.

Computed properties:
Total magnetization: 11.82 μB/cell
Energy relative to the elements, uncorrected: -1.7448 eV per atom
E_tot: -3.311 eV per atom

Cell: 19.049 19.049 19.049 Å, 90.00 90.00 90.00°
Space group Ia-3d (No. 230)
Unique sites:
'''
To be continued…
Ref: A Global Atlas of Soil Biodiversity p110